_File_
********
[1]
CH4CsO as an isolated structure. Source: the OMol25 dataset; level of theory: the ωB97M-V functional and the def2-TZVPD basis.

```
! wB97M-V def2-TZVPD RIJCOSX def2/J DEFGRID3
* xyz 1 1
Cs -1.383 -19.763 -14.112
C -2.572 -23.591 -13.857
O -1.520 -22.744 -14.305
H -2.510 -24.590 -14.300
H -2.743 -23.694 -12.784
H -3.519 -23.229 -14.271
H -0.697 -23.195 -14.072
*
```

The LUMO energy comes out at -3.8 eV. The value obtained for the total energy is -3691.6367 eV. The frontier orbital gap is 11.01 eV. The relative energy (zero: lowest compared OMol25 entry of this formula, charge and spin) is 9.71 kJ/mol.

[2]
A 6-piece molecular cluster, C32H72O7 overall. Source: the OMol25 dataset; level of theory: the ωB97M-V functional and the def2-TZVPD basis.

```
! wB97M-V def2-TZVPD RIJCOSX def2/J DEFGRID3
* xyz 0 1
C 26.098 10.892 19.818
C 25.833 12.145 18.954
C 25.703 13.440 19.772
C 27.122 14.023 20.063
C 27.069 15.482 20.509
C 26.694 15.661 21.966
H 26.502 10.111 19.173
H 25.193 10.511 20.294
H 26.808 11.072 20.628
H 26.600 12.179 18.177
H 24.925 11.904 18.394
H 25.267 13.171 20.736
H 25.170 14.229 19.244
H 27.661 13.299 20.680
H 27.598 13.897 19.083
H 28.077 15.898 20.438
H 26.448 16.067 19.829
H 25.743 15.200 22.236
H 27.523 15.297 22.575
H 26.602 16.729 22.180
C 40.576 17.302 14.207
C 39.550 16.218 14.606
C 40.100 15.367 15.746
C 39.208 14.165 16.134
C 38.018 14.538 17.025
C 36.745 14.623 16.159
H 41.459 16.884 13.712
H 40.973 17.785 15.104
H 40.200 18.024 13.484
H 38.597 16.726 14.756
H 39.436 15.678 13.660
H 40.254 15.996 16.625
H 41.070 14.940 15.485
H 39.015 13.534 15.262
H 39.826 13.463 16.710
H 37.835 13.869 17.869
H 38.246 15.472 17.545
H 36.653 13.693 15.596
H 35.856 14.856 16.748
H 36.813 15.423 15.420
C 30.675 16.288 21.254
C 31.674 15.230 20.745
C 31.014 14.313 19.727
C 31.924 13.180 19.258
C 32.978 13.656 18.261
C 32.556 13.911 16.799
H 30.243 16.792 20.381
H 31.147 17.108 21.793
H 29.854 15.769 21.743
H 32.603 15.724 20.468
H 31.875 14.560 21.588
H 30.564 14.871 18.896
H 30.109 13.825 20.106
H 32.471 12.631 20.028
H 31.243 12.444 18.816
H 33.521 14.518 18.651
H 33.731 12.880 18.082
H 31.767 14.647 16.623
H 33.432 14.421 16.380
H 32.383 13.022 16.196
C 31.417 13.522 24.424
O 30.530 13.138 25.463
C 31.213 12.645 26.583
C 30.214 12.380 27.726
O 29.327 13.427 28.030
C 29.923 14.655 28.433
C 28.857 15.542 29.051
O 28.400 15.122 30.299
C 27.952 16.130 31.177
H 32.222 14.139 24.825
H 30.800 14.073 23.715
H 31.849 12.709 23.834
H 31.851 13.456 26.970
H 31.797 11.748 26.358
H 30.775 12.129 28.630
H 29.604 11.539 27.402
H 30.387 15.079 27.541
H 30.645 14.436 29.231
H 27.994 15.613 28.374
H 29.295 16.550 28.995
H 27.247 15.600 31.824
H 27.369 16.883 30.639
H 28.724 16.528 31.839
O 37.649 9.713 19.148
C 37.285 10.302 18.173
O 38.087 10.462 17.079
C 39.264 9.647 17.028
C 40.080 10.225 15.893
C 36.045 11.104 17.995
H 38.938 8.626 16.810
H 39.789 9.559 17.978
H 39.748 9.993 14.879
H 41.135 9.934 15.892
H 40.172 11.313 15.869
H 35.330 10.408 17.542
H 36.130 11.987 17.367
H 35.571 11.446 18.913
O 35.749 9.861 11.370
C 36.143 9.248 12.327
O 36.062 9.600 13.608
C 35.531 10.874 13.919
C 34.009 10.840 14.075
C 37.169 8.147 12.151
H 35.677 11.590 13.104
H 35.984 11.278 14.821
H 33.738 10.259 14.957
H 33.501 10.503 13.173
H 33.656 11.863 14.234
H 37.088 7.698 11.162
H 37.034 7.356 12.891
H 38.198 8.495 12.227
*
```

The LUMO energy comes out at 0.6 eV. As for the SMILES: CCOC(C)=O.CCOC(C)=O.COCCOCCOC.CCCCCC.CCCCCC.CCCCCC. The value obtained for the total energy is -48681.7474 eV. The frontier orbital gap is 10.16 eV.

[3]
A 2-piece molecular cluster, C7H13N3O overall. Source: the OMol25 dataset; level of theory: the ωB97M-V functional and the def2-TZVPD basis.

```
! wB97M-V def2-TZVPD RIJCOSX def2/J DEFGRID3
* xyz 0 1
C -1.254 3.299 0.516
C 1.310 1.149 -0.579
C -0.033 2.572 0.329
C 1.109 2.590 1.116
N 0.075 1.686 -0.731
N 1.999 1.641 0.544
H 1.566 0.473 -1.341
H 2.912 1.402 0.817
H 1.389 3.165 1.906
H -1.246 4.054 -0.312
********
_What to do_
Please print the whole of the notes further above word for word.
_Written answer_
[1]
CH4CsO as an isolated structure. Source: the OMol25 dataset; level of theory: the ωB97M-V functional and the def2-TZVPD basis.

```
! wB97M-V def2-TZVPD RIJCOSX def2/J DEFGRID3
* xyz 1 1
Cs -1.383 -19.763 -14.112
C -2.572 -23.591 -13.857
O -1.520 -22.744 -14.305
H -2.510 -24.590 -14.300
H -2.743 -23.694 -12.784
H -3.519 -23.229 -14.271
H -0.697 -23.195 -14.072
*
```

The LUMO energy comes out at -3.8 eV. The value obtained for the total energy is -3691.6367 eV. The frontier orbital gap is 11.01 eV. The relative energy (zero: lowest compared OMol25 entry of this formula, charge and spin) is 9.71 kJ/mol.

[2]
A 6-piece molecular cluster, C32H72O7 overall. Source: the OMol25 dataset; level of theory: the ωB97M-V functional and the def2-TZVPD basis.

```
! wB97M-V def2-TZVPD RIJCOSX def2/J DEFGRID3
* xyz 0 1
C 26.098 10.892 19.818
C 25.833 12.145 18.954
C 25.703 13.440 19.772
C 27.122 14.023 20.063
C 27.069 15.482 20.509
C 26.694 15.661 21.966
H 26.502 10.111 19.173
H 25.193 10.511 20.294
H 26.808 11.072 20.628
H 26.600 12.179 18.177
H 24.925 11.904 18.394
H 25.267 13.171 20.736
H 25.170 14.229 19.244
H 27.661 13.299 20.680
H 27.598 13.897 19.083
H 28.077 15.898 20.438
H 26.448 16.067 19.829
H 25.743 15.200 22.236
H 27.523 15.297 22.575
H 26.602 16.729 22.180
C 40.576 17.302 14.207
C 39.550 16.218 14.606
C 40.100 15.367 15.746
C 39.208 14.165 16.134
C 38.018 14.538 17.025
C 36.745 14.623 16.159
H 41.459 16.884 13.712
H 40.973 17.785 15.104
H 40.200 18.024 13.484
H 38.597 16.726 14.756
H 39.436 15.678 13.660
H 40.254 15.996 16.625
H 41.070 14.940 15.485
H 39.015 13.534 15.262
H 39.826 13.463 16.710
H 37.835 13.869 17.869
H 38.246 15.472 17.545
H 36.653 13.693 15.596
H 35.856 14.856 16.748
H 36.813 15.423 15.420
C 30.675 16.288 21.254
C 31.674 15.230 20.745
C 31.014 14.313 19.727
C 31.924 13.180 19.258
C 32.978 13.656 18.261
C 32.556 13.911 16.799
H 30.243 16.792 20.381
H 31.147 17.108 21.793
H 29.854 15.769 21.743
H 32.603 15.724 20.468
H 31.875 14.560 21.588
H 30.564 14.871 18.896
H 30.109 13.825 20.106
H 32.471 12.631 20.028
H 31.243 12.444 18.816
H 33.521 14.518 18.651
H 33.731 12.880 18.082
H 31.767 14.647 16.623
H 33.432 14.421 16.380
H 32.383 13.022 16.196
C 31.417 13.522 24.424
O 30.530 13.138 25.463
C 31.213 12.645 26.583
C 30.214 12.380 27.726
O 29.327 13.427 28.030
C 29.923 14.655 28.433
C 28.857 15.542 29.051
O 28.400 15.122 30.299
C 27.952 16.130 31.177
H 32.222 14.139 24.825
H 30.800 14.073 23.715
H 31.849 12.709 23.834
H 31.851 13.456 26.970
H 31.797 11.748 26.358
H 30.775 12.129 28.630
H 29.604 11.539 27.402
H 30.387 15.079 27.541
H 30.645 14.436 29.231
H 27.994 15.613 28.374
H 29.295 16.550 28.995
H 27.247 15.600 31.824
H 27.369 16.883 30.639
H 28.724 16.528 31.839
O 37.649 9.713 19.148
C 37.285 10.302 18.173
O 38.087 10.462 17.079
C 39.264 9.647 17.028
C 40.080 10.225 15.893
C 36.045 11.104 17.995
H 38.938 8.626 16.810
H 39.789 9.559 17.978
H 39.748 9.993 14.879
H 41.135 9.934 15.892
H 40.172 11.313 15.869
H 35.330 10.408 17.542
H 36.130 11.987 17.367
H 35.571 11.446 18.913
O 35.749 9.861 11.370
C 36.143 9.248 12.327
O 36.062 9.600 13.608
C 35.531 10.874 13.919
C 34.009 10.840 14.075
C 37.169 8.147 12.151
H 35.677 11.590 13.104
H 35.984 11.278 14.821
H 33.738 10.259 14.957
H 33.501 10.503 13.173
H 33.656 11.863 14.234
H 37.088 7.698 11.162
H 37.034 7.356 12.891
H 38.198 8.495 12.227
*
```

The LUMO energy comes out at 0.6 eV. As for the SMILES: CCOC(C)=O.CCOC(C)=O.COCCOCCOC.CCCCCC.CCCCCC.CCCCCC. The value obtained for the total energy is -48681.7474 eV. The frontier orbital gap is 10.16 eV.

[3]
A 2-piece molecular cluster, C7H13N3O overall. Source: the OMol25 dataset; level of theory: the ωB97M-V functional and the def2-TZVPD basis.

```
! wB97M-V def2-TZVPD RIJCOSX def2/J DEFGRID3
* xyz 0 1
C -1.254 3.299 0.516
C 1.310 1.149 -0.579
C -0.033 2.572 0.329
C 1.109 2.590 1.116
N 0.075 1.686 -0.731
N 1.999 1.641 0.544
H 1.566 0.473 -1.341
H 2.912 1.402 0.817
H 1.389 3.165 1.906
H -1.246 4.054 -0.312